October 2013

SLIDESHOW:American Legion Hall is becoming West Seattle Veterans Center; Remodeled facility still needs $20,000 to complete the job

A West Seattle landmark, the American Legion Hall at 3618 SW Alaska Street is being completely re-imagined and remodeled with a very clear vision aimed at being a primary resource for veterans in our area. It is being renamed too as the West Seattle Veterans Center (WSVC). Legion Post 160 is still based there but the mission is being expanded to make the location useful to all veterans and their families plus offer a performance, event and meeting space for the public. It's an ambitious four stage plan being led by the new Legion Commander, Dr. Don Michael Bradford.


Star 101.5 FM surprises Highland Park Elementary teacher as Teacher of the Week

FM radio station STAR 101.5 paid a surprise visit Oct. 3 to Highland Park Elementary to honor teacher, Mrs. Amy West, as their Teacher of the Week.

West, a 3rd grade teacher, was nominated by her student, Andre Brown. STAR 101.5’s afternoon personality, Corine McKenzie, presented the award.

Each student received a goody bag full of prizes from Sound Credit Union, Dairy Farmers of Washington, KOMO 4, and STAR 101.5.

West received a personalized plaque from Issaquah Trophy & Awards, a $100 check and $100 VISA gift card from Sound Credit Union. Plus a makeover gift card courtesy of Blanc N’ Schwartz Salon in Kent.

STAR 101.5’s “Teacher of the Week” is a program that allows students to recognize local, deserving teachers for their commitment to the quality education of children. To nominate a teacher go to STAR1015.com.


Governor Inslee to make major education announcement at Cascade M.S. near White Center

Governor Jay Inslee, State Superintendent Randy Dorn and invited guests will appear at 12:30 p.m., Friday, Oct. 4, at Cascade Middle School where Inslee attended 8th and 9th Grade near White Center to make a major announcement about Next Generation Science Standards (NGSS).

NGSS are K–12 science standards that have been developed and are arranged in a coherent manner across disciplines and grades to provide all students an internationally benchmarked science education. The NGSS is based on the Framework for K–12 Science Education developed by the National Research Council.

Twenty-six states and their broad-based teams worked together with a 41-member writing team and partners throughout the country to develop the standards.


Police: Attempted child luring occurred outside West Seattle School

Seattle police are investigating an Oct. 1 attempted child luring that occurred outside Hope Lutheran School on the 4400 block of 42nd Ave. S.W.

According to the police report, a 10-year-old female Hope Lutheran student was walking towards her mom’s car near the school between 3:30 and 4 p.m. when she heard a male voice from a car parked on the north side of S.W. Oregon between 42nd and 41st say, “Hey little girl, come get in the car with me. I’ll take you home.”

The girl told police she replied, “No,” and ran to her mother’s car where she locked herself inside until her mom came out a few minutes later (the mother is part of the faculty at Hope Lutheran), according to the police report.

The mother then walked her daughter’s same route to look for the man, but found nothing.

The victim was unable to provide police with a suspect or vehicle description and police urged Hope Lutheran staff to call 911 if they see anything suspicious moving forward.


Youth football and avoiding concussions: Teaching a new way to hit in West Seattle

There was a time, not so long ago, when the crack of football players’ helmets colliding - as tackler and ball carrier came together - was cause for celebration.

“Great hit!” we would've cheered. “That’ll build character,” a coach might have quipped.

In the past few years things have changed dramatically, as the dangers of repeated concussions and the long-term brain injuries that can result from those hits have become something closer scientific consensus rather than research the NFL allegedly shunned as fringe for decades.

In late August the NFL agreed to pay a $765 million settlement to 4,500 ex-players and their families for health and behavioral problems resulting from repeated hits. On Oct. 8, two investigative reporters will release their book, League of Denial, which claims the NFL intentionally downplayed the dangers of concussions for many years. PBS Frontline will air their documentary by the same name on the 8th as well.


Foss Shipyard puttering off to Everett

In another sign of the times, the Foss Maritime shipyard located near the Ballard Bridge (660 West Ewing Street) is moving up to Everett.

The shipyard has been at its current location since 1974, when it moved up from Tacoma.

The parent company, Saltchuk, cites expansion as their main reason for moving. The existing shipyard in Seattle is not accessible to larger ships because they can't fit through the Ballard Locks, and the surrounding residential area makes it hard for them to expand outward.

To accommodate for future expansion, Saltchuk bought the 66-acre property of the old Kimberly-Clark pulp mill, which went defunct in February of 2012.

"We see tremendous opportunity and potential for further growth at the Everett site, a deep water port with unrestricted waterways. And we believe the redevelopment of this site as a shipyard and maritime complex will contribute a vital economic base to the Everett community," said Mark Tabbutt, Chairman of Saltchuk.

For Ballardites, the move is just another reminder that the neighborhood isn't the fishing village it used to be.


Grocery workers union,threatening strike, to meet with employers Oct. 10, 11

On Sept. 26 98 percent of unionized Puget Sound grocery workers voted to authorize a strike if a new agreement with their employers is not met. The union, including UFCW 21 and 367 chapters, represents 30,0000 workers, some of whom work at multiple Safeway and QFC locations in West Seattle.

At first it appeared a strike could happen as September turned into October, as union representatives said negotiations for a new contract to that point had fallen short. UFCW reps have said employers want to force part-time workers to get their health care through the Affordable Care Act exchange and lock wages at current rates.

In early October came an update from the union that they will bargain with employers on Oct. 10 and 11. If an agreement isn’t met, it could mean picketing employees outside local grocery stores in October.

“Our expectation is that they will come with a set of serious proposals,” the union wrote on their website.


You Are What You Eat: Back to soups for fall

By Katy Wilkens, MS, RD

There is that certain twinge in the air that tells you fall is on the way. With summer winding down, kale is back in my garden and new potatoes are just coming out of the earth. I am ready for fall foods like homemade soups, stews and chili.

The Italian wedding soup my son made the other night brought a glow to my insides. It wasn’t just from the soup itself, but knowing that the soup used the natural goodness of the garden – fresh veggies we had just harvested. The judicious use of a few pieces of low-sodium bacon for flavor meant he didn’t need to add any salt.

Tummy-warming meals can be made low-salt and healthy. Cook a big pot on the weekend to last you several meals, or freeze soup for a quick dinner when you don’t have time to cook.

-- The entry is interrupted by data records --
'''
1.
This record from the Materials Project describes a relaxed structure of Ba2SiTe4. The functional is r²SCAN.

Calculated values
Calculated volume, Å³ per cell: 539.9
Calculated total energy, eV per atom: -24.59
Size of the total moment, μB/f.u.: 0.00
Formation energy from the elements, eV/f.u.: -8.71
Space-group type: P2_1/m, No. 11

Geometry as extended XYZ:
```
14
Lattice="-6.977 3.035 -0.172 -1.773 -4.420 -6.056 -0.157 -7.827 5.759" Properties=species:S:1:pos:R:3 pbc="T T T"
Ba -2.382 -0.846 -1.135
Ba -6.525 -8.366 0.666
Ba -2.065 -4.747 1.619
Ba -6.842 -4.466 -2.088
Si -6.070 -4.244 2.425
Si -2.837 -4.969 -2.894
Te -1.925 -10.398 -1.601
Te -7.852 -0.982 -1.838
Te -4.026 -6.580 -1.370
Te -4.881 -2.633 0.900
Te -4.183 -3.077 -3.880
Te -4.725 -6.135 3.411
Te -1.056 -8.231 1.368
Te -6.982 1.186 1.132
```



2.
This record from the Materials Project describes a relaxed structure of Ca2PdPt. The functional is r²SCAN.

Calculated values
Calculated volume, Å³ per cell: 84.5
Calculated total energy, eV per atom: -22.94
Size of the total moment, μB/f.u.: 0.00
Formation energy from the elements, eV/f.u.: -3.25
Space-group type: Fm-3m, No. 225

Geometry as extended XYZ:
```
4
Lattice="0.000 3.483 3.483 3.483 0.000 3.483 3.483 3.483 0.000" Properties=species:S:1:pos:R:3 pbc="T T T"
Ca 5.224 5.224 5.224
Ca 1.741 1.741 1.741
Pd 3.483 3.483 3.483
Pt 0.000 0.000 0.000
```

~~~~~

## PrHfO4 (GGA-PBE)

Data for a geometry-optimized PrHfO4 structure.

Calculated values
energy relative to the elements = -3503 meV/atom
E = -422.42 eV/cell

```
data_PrHfO4
_space_group_name_H-M_alt 'P 43'
_space_group_IT_number 78
_cell_length_a 7.680
_cell_length_b 7.680
_cell_length_c 10.738
_cell_angle_alpha 90.00
_cell_angle_beta 90.00
_cell_angle_gamma 90.00
loop_
_space_group_symop_operation_xyz
'x,y,z'
'-y,x,z+3/4'
'-x,-y,z+1/2'
'y,-x,z+1/4'
loop_
_atom_site_label
_atom_site_type_symbol
_atom_site_fract_x
_atom_site_fract_y
_atom_site_fract_z
_atom_site_occupancy
Pr1 Pr 0.001 0.249 0.000 1
Pr2 Pr 0.251 0.499 0.252 1
Hf1 Hf 0.005 0.238 0.502 1
Hf2 Hf 0.261 0.498 0.752 1
O1 O 0.016 0.974 0.876 1
O2 O 0.031 0.470 0.624 1
O3 O 0.049 0.550 0.876 1
O4 O 0.224 0.273 0.634 1
O5 O 0.245 0.245 0.844 1
O6 O 0.249 0.748 0.376 1
O7 O 0.255 0.256 0.412 1
O8 O 0.473 0.519 0.875 1
```

~~~~~

Density functional theory data (PBE) for a relaxed structure of Y5Pb3.

Values from the calculation:
Crystal system: hexagonal
Calculated volume, Å³/f.u.: 238.9
Energy of formation, eV per atom: -0.5883

Unit cell a=9.0894 b=9.0894 c=6.6781 alpha=90.00 beta=90.00 gamma=120.00
Space group P6_3/mcm (No. 193)
Unique sites:
Y  0.0000  0.2373  0.2500 [6 per cell]
Y  0.3333  0.6667  0.0000 [4 per cell]
Pb  0.0000  0.3952  0.7500 [6 per cell]

~~~~~

Entry 1:
## Li2SeO4 (PBE-GGA)

Data for Li2SeO4 after structural relaxation.
'''
-- So much for the data records --

Victor’s Italian wedding soup

Fresh ground turkey or pork should not have salt added. Check for a nutrition label on the package. If it has a label, chances are the meat is salted. Fresh turkey or pork should have less than 20 milligrams of sodium per ounce.

  • 1 onion, diced
  • 4 cloves garlic, minced

Punk Rock Aerobics comes to West Seattle

Information from Seattle Parks

Seattle Parks and Recreation dept is proud to announce Punk Rock Aerobics in October!
Alki Bath House
2701 Alki Ave SW 98116
Tuesdays October 8, 15, 22, 29
6:45p – 7:45p
Register at Seattle.gov
Drop-ins welcome $10

The exercise sensation created for the misfit! Unique group fitness class featuring cardio, strength, training, and flexibility.
Teens and adults, all fitness levels encouraged.

click to hear Rachel Belle’s KIRO Radio feature:


Pet of the Week: Bos'n is a big sleepy sweetie

Jenni Styrk got her dog Bos'n, a pure bred Saint Bernard, almost five years ago and he's so named because her father is a pilot on a cruise ship. A Bos'n (or BoatSwain) is the senior crewman of the deck. He lives with the family Greg and Linda and Jenni's brother Ryan.

"My mom got him from somewhere really far, out south when he was a puppy and brought him back. We tied him to the front door and we went and hid and told my dad to go answer the door and he did and there was a Saint Bernard tied to the door!"

They had thought it was a good idea to get her dad a dog, "because my brother and I were going off to college."

Bos'n is a big dog at 175 lbs. but, "He's done growing," Jenni said laughing.

They feed him raw food twice a day. "It's like a big chub of beef and chicken and lamb all mooshed together," they get from "All the Best". He likes bananas and string cheese for treats and he's very attuned to the sound or maybe the smell of a banana, "and he will come running. It's pretty funny. I don't know how he got hooked on that."
